Effective sleep apnea treatment that is easy to wear and easy to care for

The dentist’s office may seem an unlikely place to treat suspected sleep disorders; however, sleep-disordered breathing, such as obstructive sleep apnea (OSA), is characterized by overly-relaxed oral tissues. As experts in oral anatomy and function, Montclair Dental Care in Oakland, California, is well-equipped to evaluate your treatment needs and offer an easy-to-wear and easy-to-care-for alternative to CPAP therapy.  

Is it “just” snoring – or something more dangerous? 

Snoring is a common symptom of OSA. But that chronic, grating sound may exist on its own or be secondary to conditions such as OSA. Our dentist, Dr. Kenneth L. Childers, appreciates that even primary snoring can destroy relationships with partners and other family members. Entire families can suffer from a lack of quality sleep due to snoring. Restorative sleep is necessary to be our “best selves” and supports our overall health.  

Snoring secondary to OSA is a severe medical condition that should not be ignored. If OSA remains untreated, patients with it are at increased risk of all sorts of severe complications, including: 

  • Auto and on-the-job accidents due to chronic fatigue, cognitive decline, and dementia 
  • Hypertension, cardiovascular disease, and stroke
  • Type 2 diabetes 
  • Depression and mood disturbances

As noted, oral tissues are to blame for snoring and sleep apnea. When the muscles and soft tissues at the back of the throat relax during sleep, the airway narrows; tissues vibrate against the narrowed airway, which results in that distinctive rattling and rumbling sound. Patients with OSA may suffer from very loud and frequent snoring, accompanied by pauses in breathing throughout the night. The pauses arise as the tongue and soft tissues completely block airflow to the patient’s lungs. In the act of self-preservation, the brain panics and reawakens the body urgently. Often, patients with sleep apnea wake up with a snort and a gasp due to this ongoing process of breathlessness, followed by abrupt reawakening.  

Do you snore excessively? Do you suffer from daytime fatigue? Do you awake during the night with shortness of breath? You may suffer from the life-threatening sleep disorder known as sleep apnea. About 1 in every 15 Americans suffer from sleep apnea and it is a problem that many don’t even realize they might have. But what does this have to do with dentistry? Because sleep apnea is caused by an airway obstruction, the disorder can be treated through the mouth. The Thorton adjustable positioner, or Tap appliance is one of the more popular ways to treat sleep apnea. When the jawbone yes lax, the tongue and soft tissue obstruct the airway. The tap appliance advances the jaw bone, allowing the air to flow freely and making sleep more restful throughout the night. If you think you might suffer from sleep apnea, talk to your dentist today about possible treatment options.

Scary symptoms, resolved, with prompt treatment 

-- begin --
1.
Diffraction record for AgHgPbO4. The powder diffractogram is theoretical, not measured: it uses a crystal structure in Alexandria, relaxed with PBE and Cu Ka.
Kinematic intensities with the Lorentz-polarization factor, no thermal factor.

Most intense lines, 10 to 90 degrees two-theta, low angle first:
- 16.13 deg, I 24.8
- 25.82 deg, I 57.3
- 27.39 deg, I 29.3
- 29.54 deg, I 84.7
- 31.29 deg, I 100.0
- 31.78 deg, I 67.3
- 31.94 deg, I 49.2
- 49.77 deg, I 19.1
- 50.36 deg, I 22.5
- 50.92 deg, I 29.3
- 53.08 deg, I 59.3
- 63.53 deg, I 21.7

Crystal structure
```
data_AgHgPbO4
_space_group_name_H-M_alt 'I m m a'
_space_group_IT_number 74
_space_group_name_Hall '-I 2b 2'
_cell_length_a 6.513
_cell_length_b 6.695
_cell_length_c 10.244
_cell_angle_alpha 90.00
_cell_angle_beta 90.00
_cell_angle_gamma 90.00
loop_
_atom_site_label
_atom_site_type_symbol
_atom_site_fract_x
_atom_site_fract_y
_atom_site_fract_z
_atom_site_occupancy
Ag1 Ag 0.250 0.250 0.250 1
Hg1 Hg 0.000 0.250 0.653 1
Pb1 Pb 0.000 0.000 0.000 1
O1 O 0.000 0.039 0.222 1
O2 O 0.225 0.250 0.988 1
```


2.
Diffraction record for LiIrO4. The powder diffractogram is theoretical, not measured: it uses a crystal structure in Alexandria, relaxed with PBE and Cu Ka.
Kinematic intensities with the Lorentz-polarization factor, no thermal factor.

Most intense lines, 10 to 90 degrees two-theta, low angle first:
- 16.83 deg, I 100.0
- 25.49 deg, I 75.0
- 30.70 deg, I 89.0
- 32.59 deg, I 18.4
- 36.90 deg, I 21.4
- 43.01 deg, I 33.5
- 43.50 deg, I 14.8
- 53.36 deg, I 14.0
- 55.40 deg, I 22.2
- 56.98 deg, I 15.0
- 58.87 deg, I 15.3
- 63.95 deg, I 16.9

Crystal structure
```
data_LiIrO4
_space_group_name_H-M_alt 'P b c n'
_space_group_IT_number 60
_cell_length_a 4.529
_cell_length_b 5.495
_cell_length_c 10.533
_cell_angle_alpha 90.00
_cell_angle_beta 90.00
_cell_angle_gamma 90.00
loop_
_space_group_symop_operation_xyz
'x,y,z'
'-x,-y,-z'
'-x+1/2,-y+1/2,z+1/2'
'x+1/2,y+1/2,-z+1/2'
'x+1/2,-y+1/2,-z'
'-x+1/2,y+1/2,z'
'-x,y,-z+1/2'
'x,-y,z+1/2'
loop_
_atom_site_label
_atom_site_type_symbol
_atom_site_fract_x
_atom_site_fract_y
_atom_site_fract_z
_atom_site_occupancy
Li1 Li 0.000 0.197 0.250 1
Ir1 Ir 0.000 0.500 0.000 1
O1 O 0.219 0.498 0.645 1
O2 O 0.233 0.237 0.422 1
```


3.
Diffraction record for Zn3Cu6Sn3Se4S8. The powder diffractogram is theoretical, not measured: it uses a crystal structure in Alexandria, relaxed with PBE and Cu Ka.
Kinematic intensities with the Lorentz-polarization factor, no thermal factor.

Most intense lines, 10 to 90 degrees two-theta, low angle first:
- 27.71 deg, I 94.0
- 27.84 deg, I 89.3
- 46.11 deg, I 100.0
- 46.37 deg, I 20.1
- 54.63 deg, I 36.5
- 54.69 deg, I 13.3
- 54.88 deg, I 25.9
- 67.42 deg, I 12.4
- 74.15 deg, I 10.4
- 74.37 deg, I 8.5
- 85.29 deg, I 11.8
- 85.81 deg, I 12.3

Crystal structure
```
data_Zn3Cu6Sn3Se4S8
_space_group_name_H-M_alt 'C 1 m 1'
_space_group_IT_number 8
_cell_length_a 7.883
_cell_length_b 7.832
_cell_length_c 17.184
_cell_angle_alpha 90.00
-- stop --

Invasive surgical techniques have low success rates in the 20 to 40%-range. Plus, these treatments are accompanied by a host of risks and complications. CPAP therapy is considered the “standard” in sleep apnea treatment; however, while it is effective, the rate of compliance (use) by patients is alarmingly low. What good is a treatment, no matter how effective, if it doesn’t get used? 

Instead of delivering continuous air to the patient via a bulky mask and noisy machine, Dr. Childers may recommend the design of a custom oral appliance. These appliances are discreet. Many patients quickly adjust to wearing them and forget they are even in their mouths! Depending on your specific snoring or sleep apnea relief needs, Dr. Childers may recommend mandibular advancement devices. MADs are designed as their name suggests; they advance the mandible (or lower jaw) forward. In doing so, the tissues in the mouth are repositioned as well. These and other device designs effectively remove the obstruction. So, patients can sleep and breathe soundly, safely, and continuously throughout the night.  

You, and your loved ones, deserve restful, restorative sleep. Likewise, you should never sleep on potential symptoms of OSA, such as daytime sleepiness, frequent sore throats and hoarseness, and chronic headaches. Since OSA affects breathing and sleep, it is vital to your health and well-being to get prompt and effective care without delay. Call (510) 328-7792 today to schedule your appointment with Dr. Childers.